News & Politics
Lawmakers send bill reforming fireworks law to Gov. Wolf
The legislation would give municipalities the power to regulate when fireworks can be used.

Fireworks near the Pennsylvania Capitol building Wikimedia Commons
After years of fielding complaints from residents across the commonwealth about a 2017 expansion of the state’s fireworks law that opened the door for the purchase and use of consumer-grade fireworks, state lawmakers approved a measure Friday that would tighten the law to give municipalities more power to regulate when fireworks can and can’t be used.
The 2017 law allowed anyone over the age of 18 to buy and use consumer-grade, or Class C fireworks, a term that includes firecrackers, Roman candles and bottle rockets. But the expansion of the law has since concerned residents, along with local and state lawmakers, who contend the law was too lax and allowed for unfettered – and unlawful – use of fireworks.The new measure, House Bill 2157, would set new restrictions on the use of such fireworks, requiring both display fireworks and consumer fireworks to be set off at certain minimum distances from buildings and vehicles.
The legislation would also give more power to municipalities to regulate the use of consumer fireworks, allowing local governments to set time restrictions and prohibitions on the use and sale of the fireworks. Municipalities would be able to ban the use of consumer fireworks between 10 p.m. and 10 a.m., though the limitations would not apply to certain holidays, such as the Fourth of July, Memorial Day, Labor Day and New Year’s Eve, when people would be permitted to use consumer-grade fireworks until 1 a.m.
Local governments would also be able to require permits for the use of Class C fireworks and would be able to ban their use entirely if potential fireworks users are unable to meet a 150-foot setback requirement.
The legislation drew a mixed response from legislators, with some proffering sparkling praise for the reforms and others blasting state and local governments’ efforts to further regulate firework use.
## Between two parts of the page: molecular data
____________
{
  "formula": "C30H42CoN7P2S",
  "method": "wB97M-V/def2-TZVPD",
  "total_charge": 2,
  "relative_energy_ev": 2.5331,
  "gap_ha": [0.1728, 0.1728],
  "e_tot_ha": -4014.84229,
  "spin_multiplicity": 1,
  "max_force_ev_per_a": 3.0,
  "symbols": ["Co", "C", "C", "C", "C", "C", "N", "C", "C", "C", "C", "C", "C", "C", "N", "C", "C", "C", "N", "C", "C", "N", "C", "C", "C", "N", "H", "H", "H", "H", "H", "H", "H", "H", "H", "H", "H", "H", "H", "H", "H", "H", "H", "H", "C", "P", "C", "C", "C", "P", "C", "C", "H", "H", "H", "H", "H", "H", "H", "H", "H", "H", "H", "H", "H", "H", "H", "H", "C", "N", "C", "C", "N", "C", "S", "H", "H", "H", "H", "H", "H", "H", "H"],
____________
“When we talk about fireworks, for those of us in certain very dense communities, they are pernicious – vexatious,” said state Rep. Joe Hohenstein, a Democrat from Philadelphia. “They take up so much mental health and energy from our people that we need to get a handle on the fireworks and how they’re being used and utilized. I think this is a great step forward.”
Others, however, had a short fuse regarding the approval of such a bill just days before Independence Day. “I don’t believe that we should be enacting a law that gives municipalities the ability to require a permit to set off fireworks,” said state Rep. Andrew Lewis, a Republican from Dauphin County. “On the eve of July 4 weekend, on the eve of Independence Day, we’re going to now create new classes of criminals because people didn’t follow basic fireworks rules that may have been by mistake.”
“I think that requiring permits to set off fireworks – it’s just a bridge too far,” Lewis said.
As for Gov. Tom Wolf’s stance on the bill, there’s little chance of pyrotechnics before he takes an in-depth look at the bill. “He’ll review the bill when it gets to his desk,” a spokesperson for Wolf said.